I have a question regarding the alchemist.

Hamburger Member Posts: 28

Please correct me if I'm wrong, but didn't it show him( the alchemist) have the trapper tied down and inject the yellow serum. So my question is, how did he do it? Like, Tie him down. Did the entity allow him too?


  • FichteHiro
    FichteHiro Member Posts: 711
    edited March 2020

    The scene you're talking about stems from the 2018 Hallowed Blight Event, in which Benedict Baker was the one involved. He was going through the Alchemist's (Vigo's) Diary trying to find explanations. Vigo injected the Trapper with the Serum, which caused The Trapper to lose consciousness. Then, Vigo tied him down to further experiment on him. Benedict ended up finding Vigo's laboratory and experimenting on the Trapper himself.

    We don't quite know what Killers and Survivors do outside of the Trials other than sitting at the Campfire. Maybe Vigo could catch The Trapper alone and inject him with the Putrid Serum?

  • Rattman
    Rattman Member Posts: 1,088

    ######### are you saying?

    Firstly, we don't have proof what Benedict Baker is an Alchemist.

Crystal structures that have nothing to do with the entry
- - -
VASP calculation (PBE) on an optimized crystal structure of Ca2In2Hg5.

ΔH_f (0 K) = -0.236 eV per atom
Energy above the most stable polymorph in this dataset = 0.0 meV/atom
Uncorrected energy = -1.46 eV/atom
Volume = 249.3 Å³/f.u.

Cell and atoms, written as POSCAR:
```
Ca2In2Hg5
1.0
-4.920 10.513 2.410
4.920 -10.513 2.410
4.920 10.513 -2.410
Ca In Hg
4 4 10
Cartesian
2.460 13.492 -1.205
2.460 2.979 1.205
-2.460 7.534 1.205
2.460 7.534 1.205
0.002 0.001 0.000
2.460 5.256 -1.205
2.460 -5.256 1.205
4.918 -0.001 2.410
4.920 -3.111 1.146
4.920 7.402 -1.146
2.460 9.528 -1.205
2.460 -0.985 1.205
0.000 5.256 1.159
4.920 5.256 1.251
-2.460 11.497 1.205
2.460 11.497 1.205
0.000 3.111 3.556
0.000 13.623 1.264
```

----------

## one
A geometry-optimized VSiSe3 structure, computed with GGA-PBE.

a = 4.8440 Å, b = 4.8440 Å, c = 4.8440 Å
α = 90.00°, β = 90.00°, γ = 90.00°
With the nearest neighbours (Å) after each atom.
Element x y z (fractional)
Se1 0.0000 0.0000 0.5000  2 V 2.42
Se2 0.0000 0.5000 0.0000  2 V 2.42
V1 0.0000 0.0000 0.0000  6 Se 2.42
Si1 0.5000 0.5000 0.5000  12 Se 3.43
Se3 0.5000 0.0000 0.0000  2 V 2.42

Properties
Magnetic moment, μB/f.u.: 1.25



## two
A geometry-optimized VSiSe3 structure, computed with GGA-PBE.

a = 4.7938 Å, b = 4.7938 Å, c = 4.7938 Å
α = 90.00°, β = 90.00°, γ = 90.00°
With the nearest neighbours (Å) after each atom.
Element x y z (fractional)
Se1 0.5000 0.0000 0.0000  2 Si 2.40
Se2 0.0000 0.5000 0.0000  2 Si 2.40
V1 0.5000 0.5000 0.5000  12 Se 3.39
Si1 0.0000 0.0000 0.0000  6 Se 2.40
Se3 0.0000 0.0000 0.5000  2 Si 2.40

Properties
Magnetic moment, μB/f.u.: 2.29



Referenced to the most stable arrangement, the calculated values in eV/atom are one 0.000; two 0.159.



## one
A geometry-optimized SiW2Se structure, computed with GGA-PBE.

a = 4.7460 Å, b = 4.7460 Å, c = 4.7460 Å
α = 128.78°, β = 128.78°, γ = 75.37°
With the nearest neighbours (Å) after each atom.
Element x y z (fractional)
W1 0.0000 0.0000 0.0000  4 W 2.78, 4 Si 2.78, 4 Se 2.90
W2 0.2500 0.7500 0.5000  4 Se 2.78, 4 W 2.78, 4 Si 2.90
Se1 0.5000 0.5000 0.0000  4 Si 2.78, 8 W 2.78-2.90
Si1 0.7500 0.2500 0.5000  4 Se 2.78, 8 W 2.78-2.90

Properties
Magnetic moment, μB/f.u.: 0.00



## two
A geometry-optimized SiW2Se structure, computed with GGA-PBE.

a = 4.1230 Å, b = 3.3638 Å, c = 5.2120 Å
α = 80.75°, β = 90.00°, γ = 90.00°
With the nearest neighbours (Å) after each atom.
Element x y z (fractional)
W1 0.0000 0.9811 0.9364  2 W 2.43-2.68, 2 Si 2.46
W2 0.0000 0.5189 0.5636  2 W 2.43-2.68, 2 Si 2.46
Se1 0.5000 0.2500 0.2500  2 Si 2.87, 4 W 2.87
Si1 0.5000 0.7500 0.7500  4 W 2.46

Properties
Magnetic moment, μB/f.u.: 0.00



## three
A geometry-optimized SiW2Se structure, computed with GGA-PBE.

a = 5.5204 Å, b = 5.5204 Å, c = 5.5204 Å
α = 148.00°, β = 134.25°, γ = 56.92°
With the nearest neighbours (Å) after each atom.
Element x y z (fractional)
W1 0.0085 0.0085 0.0000  4 Se 2.63, 2 Si 2.65
Se1 0.5197 0.5197 0.0000  6 W 2.63
- - -

    Secondly, it's actually pretty clear, that notes from 2018 event belong to Alchemist. And Alchemist found Vigo's journal and then became obsessed with serum.

    Alchemist was able to beat Trapper cause he was bitten by some rodent, injected with serum before.

  • FichteHiro
    FichteHiro Member Posts: 711
    edited March 2020

    Benedict is not the Alchemist, he is the one whose diary entries were the lore pieces we were presented with in the 2018 Hallowed Blight Event belong to.

    The Alchemist should be Vigo, this is implied by the 2019 Withered Blight event, even though this isn't confirmed.

  • Rattman
    Rattman Member Posts: 1,088
    edited March 2020

    Say what?

    Alchemist and 2018 notes author is literally the same person. And this person is not the Vigo. And it's not a Benedict either.

    Check this:


    22 October - Wounded

    I'm hiding in a dense strip of forest. I'm desperate to erase the distressful images engraved in my mind. Last night, a disfigured man barged into the laboratory with a gruesome, mechanical mouth and shred the walls into splinters. I barely escaped with my life—and wounded my arm in the process. I have no options left; these monsters find me no matter where I go. All I have is a journal filled with obscure promises of escape. I will return to the laboratory.

    24 October - Experiment III

    awoke to a terrible cry booming from the cellar and a violent bout of nausea. Through the vile ordeal, I started to recollect what had happened. Tainted with the foul serum, my wound had swollen with lymph, at which point my assailant returned. Most of our fight was a blur, but I can recall red tears trickling down his gruesome cheeks as I clawed at his face. And some moment later when I kicked him, sending him crashing into a brick wall. The power I felt then… there are no words for it. I now know that there is truth to Vigo's methods. Another cry. My assailant, now chained in the cellar, must be getting restless. This is just the beginning.


    Memory 1747

    He has flashes of The Doctor. His screams. His agony. Turning the tables on him. Experimenting on him like he had done with so many others. Where? Not here. Somewhere else. Another world. All of these… these… survivors… marooned from other… worlds... How does he know this? He doesn't remember… He remembers the experiments. What was he trying to understand? The nectar? The serum? The right dose? The right dose… to use without hurting himself. Too late.

  • FichteHiro
    FichteHiro Member Posts: 711

    I already read through the notes, Benedict Baker's Journal entries contain the Hallowed Blight's lore. Each day, different entry of his Journal would be released.

    Check out the Wiki Article for the Hallowed Blight: https://deadbydaylight.gamepedia.com/The_Hallowed_Blight

  • Rattman
    Rattman Member Posts: 1,088

    Wiki... It's made by fans. And I don't really remember official confirmation. What do you think, someone among devs can confirm it now, if we mention them here?

  • FichteHiro
    FichteHiro Member Posts: 711
    edited March 2020

    Yeah, the Wiki is made primarily by Community members, but they try to make it as accurate as possible.

    We can try to mention Peanits here.

    @Peanits, are the lore pieces of the Hallowed Blight event entries from Benedict Baker's Journal?

    Post edited by FichteHiro on
  • icemancat
    icemancat Member Posts: 150


    To answer your question, we don't know how The Alchemist managed to tie down each killer for his experiments. He could have used a trap of some sorts to knock each killer out unconscious, but even that possibility seems unlikely given how powerful each killer is. We also have no confirmation regarding if The Entity assisted The Alchemist with his experiments. If anything, I believe The Alchemist was trying to find a way to escape The Entity's Realm for good by testing different amounts of serum on each killer as well as possibly combining the serum with a certain chemical substance. I just recently did an in-depth analysis on The Alchemist if you want more details on him and his experiments. You can find that here: https://forum.deadbydaylight.com/en/discussion/139009/lore-dive-the-alchemist#latest

  • BSNightflow
    BSNightflow Member Posts: 81

    Personally I agree with your opinion that Alchemist is not Benedict, but a new character brought into dbd lore in 2018. He doesn't get enough love partially due to the devs deliberately making the lore ambiguous and confusing. I really hope someday devs confirm or deny this??